
"Wake up!" A hoarse voice roused Liu Dong from his torpor.

"Ah," Liu Dong groaned, blinking his eyes open. His first instinct was to use a movement technique to escape from his assailant. However, the next moment, sharp pain assaulted his meridians causing his face to blanch as he coughed blood.

"What the—" Liu Dong gasped, clutching his chest as he stared in horror at the glistening blood on the ground. In panic, assessed his body and made a disconcerting discovery.

His spatial ring had vanished, along with all his body protection trinkets and talismans. Stripped of his ability to use spiritual qi, Liu Dong found himself reduced to a mere mortal, making him anxious.

Liu Dong's gaze fixated on the person standing leisurely in front of him. It took him no time to realize the culprit behind his dire situation. Rage and humiliation surged inside him as he glared at the figure.

"Bastard! Who the hell are you?" Liu Dong shouted. "How dare you do this to me?"


A sharp kick landed in Liu Dong's gut as a response.

"Aargh!" Liu Dong screamed and curled up like a shrimp. Eventually the pain subsided, but he remained motionless, afraid to utter a single word.

Not long ago, he had reveled in playing the aggressor against Liu Fengying. Now, the tables had turned. The stark realization that he was at this man's mercy stung him and he shot the figure an ugly expression.

That man gave him a cold look and sneered, "Shall we try again?"

"W-what do you want?" Liu Dong stammered. "If you release me, I-I can offer you a trove of spirit stones and treasures."

"Oh, you mean this?" The man toyed with Liu Dong's spatial ring in his palm, before casually tossing it aside. "Not interested."

Pop! A faint popping sound echoed as black smoke billowed from of the ring.

The ring had been protected with a formation, restricting access to its owner alone. If somebody else attempted to access its contents, it would trigger self-destruction. And just now, that very formation had been activated.

Instead of feeling relieved, Liu Dong's expression turned ashen. If his captor wasn't after his wealth, it could only mean one thing: he was after Liu Dong himself.

"Plotting against the crown prince," the man chuckled. "You guys certainly have a lot of nerve."

"Don't spew bullshit," Liu Dong roared. Conspiring against the crown was treason. 

Even if he wasn't directly involved, exposure would mean more than just a life imprisonment. He would never admit to such a thing.

"It doesn't matter if you deny," the man chuckled as he took out a recording jade. The faint glow indicated it had already been used.

Liu Dong was aghast and instinctively reached out to grab the recording jade, but the man had already stowed it away.

"H-how long have you been spying on us?" Liu Dong tried to maintain composure, but his heart raced like a cornered rabbit. How much incriminating evidence did this guy possess? What if his misdeeds were exposed? Liu Dong shuddered at the thought.

"Long enough," the guy said with a slight smile, as if reading Liu Dong's mind. "I've already recorded several of your talks. Once I hand them over to His Highness…" He left the threat hanging.

**Inserted here: records of crystals**
-- begin --
# 1
Here is a relaxed structure of ErSb3 from the Materials Project. Energies are from PBE.

## Properties
Magnetic moment = 0.00 μB/atom
E_form = -0.50 eV/atom
Calculated total energy = -36.79 eV for the cell shown

Cell lengths 6.5182, 6.5182, 5.8927 Å; angles 90.00, 90.00, 120.00 degrees
Closest atoms and distances in Å follow each position.
Sites, in units of the cell vectors:
Sb 0.1742 0.8258 0.2500  4 Sb 3.11-3.41, 4 Er 3.26-3.45
Sb 0.8258 0.1742 0.7500  4 Sb 3.11-3.41, 4 Er 3.26-3.45
Sb 0.1742 0.3483 0.2500  4 Sb 3.11-3.41, 4 Er 3.26-3.45
Sb 0.8258 0.6517 0.7500  4 Sb 3.11-3.41, 4 Er 3.26-3.45
Sb 0.3483 0.1742 0.7500  4 Sb 3.11-3.41, 4 Er 3.26-3.45
Sb 0.6517 0.8258 0.2500  4 Sb 3.11-3.41, 4 Er 3.26-3.45
Er 0.6667 0.3333 0.2500  12 Sb 3.26-3.45
Er 0.3333 0.6667 0.7500  12 Sb 3.26-3.45

=====

# 2
Here is a relaxed structure of Er4Sb3 from the Materials Project. Energies are from PBE.

## Properties
E_form = -1.02 eV/atom
Calculated total energy = -74.51 eV for the cell shown

Cell lengths 7.9061, 7.9061, 7.9061 Å; angles 109.47, 109.47, 109.47 degrees
Closest atoms and distances in Å follow each position.
Sites, in units of the cell vectors:
Er 0.6430 0.5000 0.0000  6 Sb 3.05-3.28
Er 0.1430 0.5000 0.0000  6 Sb 3.05-3.28
Er 0.5000 0.0000 0.1430  6 Sb 3.05-3.28
Er 0.3570 0.3570 0.3570  6 Sb 3.05-3.28
Er 0.5000 0.0000 0.6430  6 Sb 3.05-3.28
Er 0.0000 0.1430 0.5000  6 Sb 3.05-3.28
Er 0.8570 0.8570 0.8570  6 Sb 3.05-3.28
Er 0.0000 0.6430 0.5000  6 Sb 3.05-3.28
Sb 0.1250 0.8750 0.2500  8 Er 3.05-3.28
Sb 0.7500 0.3750 0.6250  8 Er 3.05-3.28
Sb 0.6250 0.7500 0.3750  8 Er 3.05-3.28
Sb 0.3750 0.6250 0.7500  8 Er 3.05-3.28
Sb 0.2500 0.1250 0.8750  8 Er 3.05-3.28
Sb 0.8750 0.2500 0.1250  8 Er 3.05-3.28

=====

# 3
Here is a relaxed structure of Er2Se3 from the Materials Project. Energies are from PBE.

## Properties
E_form = -2.16 eV/atom
Calculated total energy = -115.98 eV for the cell shown

Cell lengths 13.4534, 12.8413, 7.0412 Å; angles 79.33, 69.72, 30.95 degrees
Closest atoms and distances in Å follow each position.
Sites, in units of the cell vectors:
Se 0.2578 0.7422 0.7422  4 Er 2.85-2.87
Se 0.7422 0.2578 0.2578  4 Er 2.85-2.87
Se 0.1642 0.6738 0.3420  4 Er 2.83-2.87
Se 0.3420 0.8200 0.1642  4 Er 2.83-2.87
Se 0.0858 0.5762 0.9080  4 Er 2.83-2.87
Se 0.8200 0.3420 0.6738  4 Er 2.83-2.87
Se 0.5762 0.0858 0.4300  4 Er 2.83-2.87
Se 0.6738 0.1642 0.8200  4 Er 2.83-2.87
Se 0.9922 0.5078 0.5078  4 Er 2.85-2.87
Se 0.4300 0.9080 0.5762  4 Er 2.83-2.87
Se 0.5078 0.9922 0.9922  4 Er 2.85-2.87
Se 0.9080 0.4300 0.0858  4 Er 2.83-2.87
Er 0.4162 0.4162 0.5838  6 Se 2.83-2.87
Er 0.7527 0.7527 0.2473  6 Se 2.84-2.87
Er 0.0027 0.0027 0.4973  6 Se 2.84-2.87
Er 0.2473 0.2473 0.7527  6 Se 2.84-2.87
Er 0.5838 0.5838 0.4162  6 Se 2.83-2.87
Er 0.6662 0.6662 0.8338  6 Se 2.83-2.87
Er 0.8338 0.8338 0.6662  6 Se 2.83-2.87
Er 0.4973 0.4973 0.0027  6 Se 2.84-2.87

=====

# 4
Here is a relaxed structure of Er2Se3 from the Materials Project. Energies are from PBE.
-- stop --
**The records of crystals stop here**

"His Highness?" Liu Dong furrowed his brow for a moment. However, upon noticing the nonchalant smile on the man's face, realization dawned like a thunderclap. "Y-you are one of the Crown Prince's men!"

"Are you surprised?" The man chuckled. "Did you think you could conspire against His Highness without anyone noticing? His influence extends beyond your imagination."

Liu Dong wanted to deny it,yet words eluded him. His overconfidence in his allies' had blinded him to the possibility, but now he could only concede—there were spies in their ranks.

"Don't tell me—" Liu Dong's breath stagnated as a chilling thought consumed his mind.

His untimely appearance, accompanied by Long Xueyi of all people—was it just a mere coincidence or was there a deeper design? With spies lurking in their midst, the Crown Prince's awareness of their trap seemed likely. Would he be truly foolish enough to walk into it knowingly?

Impossible. Unless he was already prepared.

Displaying his wit and strength by dismantling the trap meant to ensnare him—such an action befitted the stature of the Crown Prince. Their trap would become the stage for the Crown Prince to establish his dominance.

Once brimming with confidence, Liu Dong now wavered. The Crown Prince was privy to their scheme, yet their own ignorance regarding his movements, left them vulnerable. Even if they succeeded, the cost would be too heavy to bear.

Furthermore, his involvement was meant to remain secret. Despite having a backer, Liu Dong feared that 'that person' would abandon him if exposed.

As the gravity of his predicament settled, Liu Dong's expression darkerned. He studied the spy before him, a tempest of anger and helplessness whirling within. Yet, the spy's failure to strike him down hinted at the purpose behind the commotion.

"What do you want?" Liu Dong ground his teeth, determined to compromise. Survival took precedence.

"Working with intelligent individuals is always a pleasure," the spy's eyes brightened as he nodded appreciatively at Liu Dong. "We've amassed sufficient evidence to bring the princes to trial. However, if you cooperate, our case will be foolproof. In return," he cast a sidelong glance, "the throne will pardon your recent transgressions."

Liu Dong sighed. Cooperation in exchange for amnesty—a typical arrangement for those without unforgivable offenses. It seemed reasonable, but accepting it would align him implicitly with the Crown Prince's faction. His former allies would swiftly become adversaries.

"What do you say?" The spy persisted, noting Liu Dong's subdued demeanor. "Under ordinary circumstances, you wouldn't even qualify for such a deal. After all, any attempt on His Highness's life isn't something trivial that will be ignored."

"W-we aren't after his life," Liu Dong blurted out. In his mind, he had already acquiesced to the other party's offer. 

"You aren't?" The spy's expression betrayed surprise for the first time.

"O-of course not." Liu Dong shook his head. "If we kill him, the Emperor would be furious. Evidence wouldn't matter. Anyone remotely involved would suffer."

"Indeed," the spy concurred. "If not his life, what are you after?"

"I'm willing to talk, but you have to promise me that you will protect me." Liu Dong put forth his condition. 'That person' wouldn't care as long as he was still useful. But the same couldn't be said for the other princes.

"Sounds reasonable," the spy said and gestured at Liu Dong to continue.

Liu Dong took a deep breath. "We aren't after the Crown Prince's life," he clarified. "We simply want him to accept certain terms."

"And how do you plan to achieve this?" the spy arched his eyebrow.

"The Crown Prince upholds righteousness and values friendship," Liu Dong said. "He would go to great lengths to protect his companions."

They didn't dare kill the Crown Prince, so crippling him politically was the next best thing. As long as they coerced him into some unfavorable agreement, even the Emperor would be helpless.

"He remains a prince," the spy said, shaking his head. "What if he chose to disregard his friends' lives to uphold his authority?"

"The Crown Prince has lacked friends since youth," Liu Dong said, eyeing the spy curiously. "Even if, by some twist of fate, he were to sacrifice them for authority, it would wound his heart and tarnish his reputation. Such actions would weaken his future influence and strength."

"How devious," the spy snorted. Whether they succeeded or failed, they would gain something. "Why are you involved in something like this?"

Liu Dong hesitated briefly before confessing, "The Liu Clan."

The spy looked at him, speechless.

"T-the other princes agreed to support me in secret," Liu Dong explained.

"Incredible," the spy scoffed. "You conspired against the Crown Prince and even your own clan? Your greed knows no bounds."

Liu Dong hung his head in embarrassment.

The spy shook his head, his tone becoming serious, "Tell me about 'that person'."

At the mention of 'that person', Liu Dong froze. "I-I can't."

"Hmph!" the spy snorted. "Have you forgotten the mess you are in?"

"I can't," Liu Dong asserted, shaking his head resolutely.

The spy frowned. Liu Dong's refusal to speak against 'that person' intrigued him. It hinted that he was under some restriction. 

To Liu Dong's relief, the spy refrained from forcing the issue.

"I've shared all I can," Liu Dong said. Tentatively, he asked, "May I go? I-I will use the token and leave the realm immediately."

"Not yet," the spy chuckled. "There's one more task remaining."

"W-what is it?" Liu Dong's fear spiked. Was this guy reneging on their agreement?

"It's nothing frightening," the spy assured. "I heard you've already captured a hostage. Take me to her."

Liu Dong groaned. Liu Fengying was crucial to some of their goals, yet he found himself cornered. Depressed and with his life hanging in the balance, he reluctantly nodded. "Alright."

Liu Dong rose to his feet and took a step forward. Yet before he could move further, the spy seized his shoulder.

"If you dare play any tricks," the spy warned in a hushed tone. "you—"

The spy's robes shifted, revealing a small white triangular head poking through.

Liu Dong and the spy directed their gazes downward.

There laid a drowsy little fox. 

Oblivious to their inquisitive stares, the fox yawned and licked its lips. It then stretched its legs and settled into a cozy position.

"T-that fox?" Liu Dong's mind momentarily blanked. He recognised it—the same fox Liu Fengying had carried aboard the ship.

While one might argue that distinguishing individual animals was challenging for humans, how many little white foxes could possibly inhabit this realm?

Liu Dong's gaze darted between the fox and the spy. 

A little white fox. A guy with familiar eyes.

Liu Dong's thoughts raced faster than lightning as they pieced bits of information together. His eyes widened in disbelief as he realized something. He knew why he'd felt an inexplicable urge to kick this guy upon seeing him.

"Mu Chen, you scoundrel!" Liu Dong exploded in anger and lunged forward. "How dare you play me?"

The 'spy' snorted and kicked Liu Dong aside. He cast an exasperated look at the fox in his arms before tucking it into his robes. Then, with a shake of his head, he removed his skin mask, revealing a much younger and handsome visage.

"Yes, I played you," Mu Chen retorted in his true voice. "What of it?"